It remains to quote everything underneath character by character.
(1)
74
Properties=species:S:1:pos:R:3:lowdin_spin:R:1 method="wB97M-V/def2-TZVPD" spin_multiplicity=4 e_lumo_ev="-9.70 / -9.60" orbital_gap_ha="0.267 / 0.271" homo_energy_ha="-0.6233 / -0.6233" de_lowest_kcal_mol=0.0 total_charge=+3
Er 0.226 0.040 -0.135 3.0337
P -2.456 -0.411 0.738 -0.0049
P 1.004 -0.289 2.653 -0.0049
P 0.120 -2.664 -0.138 -0.0058
H 0.495 2.317 -2.624 0.0001
C -0.317 1.743 -3.093 -0.0022
C -1.256 1.322 -2.191 -0.0005
H -1.556 1.908 -1.295 0.0000
C -3.677 0.949 0.992 -0.0008
C -2.891 -1.269 2.304 -0.0006
C -3.474 -1.465 -0.355 -0.0007
C 2.829 -0.234 2.582 -0.0003
C 0.699 0.805 4.079 -0.0008
C 0.875 -1.905 3.491 -0.0008
C -0.585 -3.234 -1.724 -0.0003
C -0.775 -3.770 0.993 -0.0013
C 1.734 -3.505 0.187 -0.0005
H -0.138 1.498 -4.161 -0.0001
H -2.088 0.641 -2.379 0.0001
H -3.611 1.751 0.242 0.0000
H -3.578 1.409 1.984 0.0000
H -4.673 0.490 0.935 -0.0002
H -2.604 -0.686 3.181 0.0000
H -2.427 -2.255 2.388 0.0000
H -3.982 -1.392 2.315 -0.0001
H -3.430 -1.133 -1.394 0.0000
H -4.514 -1.378 -0.015 -0.0002
H -3.194 -2.520 -0.325 0.0000
H 3.208 -0.470 3.583 -0.0001
H 3.141 0.769 2.263 0.0000
H 3.155 -0.993 1.856 0.0000
H 1.419 0.478 4.840 -0.0002
H -0.338 0.681 4.420 0.0000
H 0.859 1.859 3.800 0.0000
H 1.395 -1.779 4.449 -0.0002
H 1.374 -2.665 2.881 0.0000
H -0.180 -2.173 3.638 0.0000
H 0.050 -4.095 -1.970 -0.0001
H -0.513 -2.470 -2.513 0.0000
H -1.648 -3.512 -1.589 0.0000
H -0.432 -4.776 0.716 -0.0003
H -1.854 -3.681 0.869 0.0000
H -0.481 -3.537 2.020 0.0000
H 1.773 -4.478 -0.326 -0.0001
H 1.852 -3.687 1.272 0.0000
H 2.546 -2.870 -0.187 0.0000
C 2.854 -1.038 -3.620 -0.0017
C 4.208 -1.433 -3.460 -0.0002
C 4.937 -1.795 -4.610 -0.0001
C 4.410 -1.577 -5.903 0.0001
C 3.076 -1.147 -6.034 -0.0002
C 2.286 -0.864 -4.894 -0.0002
S 1.639 -0.709 -2.146 -0.0016
H 2.386 -0.115 -1.064 -0.0006
H 4.698 -1.471 -2.465 0.0000
H 5.925 -2.267 -4.537 0.0000
H 5.029 -1.702 -6.813 0.0000
H 2.633 -1.059 -7.038 0.0000
H 1.235 -0.526 -5.014 0.0000
N -1.223 6.960 0.464 0.0001
C -0.828 5.736 -0.043 0.0000
O -0.469 5.594 -1.208 -0.0002
C -0.929 4.524 0.865 -0.0001
C -1.608 4.558 2.086 0.0004
C -1.781 3.365 2.778 -0.0002
C -1.292 2.169 2.240 0.0002
N -0.594 2.097 1.081 -0.0042
C -0.467 3.274 0.396 0.0004
H -1.021 7.777 -0.101 0.0000
H -1.309 7.117 1.457 0.0000
H -2.048 5.487 2.452 0.0000
H -2.318 3.312 3.719 0.0000
H -1.483 1.206 2.754 0.0000
H -0.026 3.162 -0.597 0.0001

=====

(2)
10
Properties=species:S:1:pos:R:3:nbo_charge:R:1 method="wB97M-V/def2-TZVPD" e_lumo_ev=0.40 orbital_gap_ha=0.324 homo_energy_ha=-0.3090 de_lowest_kcal_mol=30.5
N -1.642 -0.612 0.295 -1.2884
Si 1.611 -0.195 0.132 0.3686
Si -0.516 0.664 0.115 0.9777
H -2.629 -0.424 0.354 0.4022
H -1.492 -1.465 -0.219 0.3976
H 2.438 0.323 -0.957 -0.1138
H 2.322 0.083 1.389 -0.1290
H 1.589 -1.657 0.005 -0.1239
H -1.052 1.738 0.943 -0.1628
H -0.630 1.546 -2.058 -0.3282

=====

(3)
18
Properties=species:S:1:pos:R:3:nbo_charge:R:1 method="wB97M-V/def2-TZVPD" e_lumo_ev=3.86 orbital_gap_ha=0.288 homo_energy_ha=-0.1460 de_lowest_kcal_mol=8.0 total_charge=-1
C 1.849 -0.475 0.134 -0.4184
C 0.931 -1.724 -0.184 -0.6196
C 2.829 -0.174 -0.983 -0.6118
H 1.163 0.341 0.375 0.2662
H 2.371 -0.713 1.053 0.1743
H 1.432 -2.601 0.213 0.1840
H 0.751 -1.722 -1.250 0.1928
H 3.388 -1.050 -1.325 0.1841
H 2.391 0.419 -1.776 0.2065
H 0.016 -1.498 0.360 0.2377
H 3.654 0.415 -0.580 0.1927
C -1.768 0.227 -0.973 -0.7437
C -1.576 0.746 0.472 0.7572
O -0.706 1.644 0.590 -0.8069
O -2.260 0.201 1.363 -0.7851
H -2.299 0.982 -1.562 0.1968
H -2.341 -0.697 -0.985 0.1954
H -0.772 0.150 -1.398 0.1977

=====

(4)
86
Properties=species:S:1:pos:R:3:lowdin_charge:R:1 method="wB97M-V/def2-TZVPD" e_lumo_ev=0.33 orbital_gap_ha=0.314 homo_energy_ha=-0.3016 de_lowest_kcal_mol=0.0
Pd 0.367 0.101 -0.058 0.9655
C 0.051 1.195 3.441 -0.0411
C 0.366 -0.206 3.093 -0.3142
C 0.567 -1.248 3.996 0.0168
C 0.947 -2.329 3.234 -0.2685
C 1.293 -3.696 3.723 -0.0213
N 0.964 -1.947 1.944 0.0481
N 0.576 -0.635 1.849 0.0018
B 1.509 -2.836 0.803 -0.5242
(1)
74
Properties=species:S:1:pos:R:3:lowdin_spin:R:1 method="wB97M-V/def2-TZVPD" spin_multiplicity=4 e_lumo_ev="-9.70 / -9.60" orbital_gap_ha="0.267 / 0.271" homo_energy_ha="-0.6233 / -0.6233" de_lowest_kcal_mol=0.0 total_charge=+3
Er 0.226 0.040 -0.135 3.0337
P -2.456 -0.411 0.738 -0.0049
P 1.004 -0.289 2.653 -0.0049
P 0.120 -2.664 -0.138 -0.0058
H 0.495 2.317 -2.624 0.0001
C -0.317 1.743 -3.093 -0.0022
C -1.256 1.322 -2.191 -0.0005
H -1.556 1.908 -1.295 0.0000
C -3.677 0.949 0.992 -0.0008
C -2.891 -1.269 2.304 -0.0006
C -3.474 -1.465 -0.355 -0.0007
C 2.829 -0.234 2.582 -0.0003
C 0.699 0.805 4.079 -0.0008
C 0.875 -1.905 3.491 -0.0008
C -0.585 -3.234 -1.724 -0.0003
C -0.775 -3.770 0.993 -0.0013
C 1.734 -3.505 0.187 -0.0005
H -0.138 1.498 -4.161 -0.0001
H -2.088 0.641 -2.379 0.0001
H -3.611 1.751 0.242 0.0000
H -3.578 1.409 1.984 0.0000
H -4.673 0.490 0.935 -0.0002
H -2.604 -0.686 3.181 0.0000
H -2.427 -2.255 2.388 0.0000
H -3.982 -1.392 2.315 -0.0001
H -3.430 -1.133 -1.394 0.0000
H -4.514 -1.378 -0.015 -0.0002
H -3.194 -2.520 -0.325 0.0000
H 3.208 -0.470 3.583 -0.0001
H 3.141 0.769 2.263 0.0000
H 3.155 -0.993 1.856 0.0000
H 1.419 0.478 4.840 -0.0002
H -0.338 0.681 4.420 0.0000
H 0.859 1.859 3.800 0.0000
H 1.395 -1.779 4.449 -0.0002
H 1.374 -2.665 2.881 0.0000
H -0.180 -2.173 3.638 0.0000
H 0.050 -4.095 -1.970 -0.0001
H -0.513 -2.470 -2.513 0.0000
H -1.648 -3.512 -1.589 0.0000
H -0.432 -4.776 0.716 -0.0003
H -1.854 -3.681 0.869 0.0000
H -0.481 -3.537 2.020 0.0000
H 1.773 -4.478 -0.326 -0.0001
H 1.852 -3.687 1.272 0.0000
H 2.546 -2.870 -0.187 0.0000
C 2.854 -1.038 -3.620 -0.0017
C 4.208 -1.433 -3.460 -0.0002
C 4.937 -1.795 -4.610 -0.0001
C 4.410 -1.577 -5.903 0.0001
C 3.076 -1.147 -6.034 -0.0002
C 2.286 -0.864 -4.894 -0.0002
S 1.639 -0.709 -2.146 -0.0016
H 2.386 -0.115 -1.064 -0.0006
H 4.698 -1.471 -2.465 0.0000
H 5.925 -2.267 -4.537 0.0000
H 5.029 -1.702 -6.813 0.0000
H 2.633 -1.059 -7.038 0.0000
H 1.235 -0.526 -5.014 0.0000
N -1.223 6.960 0.464 0.0001
C -0.828 5.736 -0.043 0.0000
O -0.469 5.594 -1.208 -0.0002
C -0.929 4.524 0.865 -0.0001
C -1.608 4.558 2.086 0.0004
C -1.781 3.365 2.778 -0.0002
C -1.292 2.169 2.240 0.0002
N -0.594 2.097 1.081 -0.0042
C -0.467 3.274 0.396 0.0004
H -1.021 7.777 -0.101 0.0000
H -1.309 7.117 1.457 0.0000
H -2.048 5.487 2.452 0.0000
H -2.318 3.312 3.719 0.0000
H -1.483 1.206 2.754 0.0000
H -0.026 3.162 -0.597 0.0001

=====

(2)
10
Properties=species:S:1:pos:R:3:nbo_charge:R:1 method="wB97M-V/def2-TZVPD" e_lumo_ev=0.40 orbital_gap_ha=0.324 homo_energy_ha=-0.3090 de_lowest_kcal_mol=30.5
N -1.642 -0.612 0.295 -1.2884
Si 1.611 -0.195 0.132 0.3686
Si -0.516 0.664 0.115 0.9777
H -2.629 -0.424 0.354 0.4022
H -1.492 -1.465 -0.219 0.3976
H 2.438 0.323 -0.957 -0.1138
H 2.322 0.083 1.389 -0.1290
H 1.589 -1.657 0.005 -0.1239
H -1.052 1.738 0.943 -0.1628
H -0.630 1.546 -2.058 -0.3282

=====

(3)
18
Properties=species:S:1:pos:R:3:nbo_charge:R:1 method="wB97M-V/def2-TZVPD" e_lumo_ev=3.86 orbital_gap_ha=0.288 homo_energy_ha=-0.1460 de_lowest_kcal_mol=8.0 total_charge=-1
C 1.849 -0.475 0.134 -0.4184
C 0.931 -1.724 -0.184 -0.6196
C 2.829 -0.174 -0.983 -0.6118
H 1.163 0.341 0.375 0.2662
H 2.371 -0.713 1.053 0.1743
H 1.432 -2.601 0.213 0.1840
H 0.751 -1.722 -1.250 0.1928
H 3.388 -1.050 -1.325 0.1841
H 2.391 0.419 -1.776 0.2065
H 0.016 -1.498 0.360 0.2377
H 3.654 0.415 -0.580 0.1927
C -1.768 0.227 -0.973 -0.7437
C -1.576 0.746 0.472 0.7572
O -0.706 1.644 0.590 -0.8069
O -2.260 0.201 1.363 -0.7851
H -2.299 0.982 -1.562 0.1968
H -2.341 -0.697 -0.985 0.1954
H -0.772 0.150 -1.398 0.1977

=====

(4)
86
Properties=species:S:1:pos:R:3:lowdin_charge:R:1 method="wB97M-V/def2-TZVPD" e_lumo_ev=0.33 orbital_gap_ha=0.314 homo_energy_ha=-0.3016 de_lowest_kcal_mol=0.0
Pd 0.367 0.101 -0.058 0.9655
C 0.051 1.195 3.441 -0.0411
C 0.366 -0.206 3.093 -0.3142
C 0.567 -1.248 3.996 0.0168
C 0.947 -2.329 3.234 -0.2685
C 1.293 -3.696 3.723 -0.0213
N 0.964 -1.947 1.944 0.0481
N 0.576 -0.635 1.849 0.0018
B 1.509 -2.836 0.803 -0.5242